**To do**
What is needed: work out how many lines below have the word "analysis" in them; a number is enough.

**Excerpt**
- - -
Computed, not measured: the molecule C4H7BO3 in a non-equilibrium geometry, with the ωB97M-V functional and the def2-TZVPD basis.

Summary:
E_HOMO in eV: -8.616
Maximum force in eV Å⁻¹: 5.20
ΔE to the lowest compared entry with this formula, charge and spin in kJ/mol: 225.1
Structure (SMILES): C#COB(OC)OC
Frontier orbital gap in Ha: 0.3356
Calculated total energy in hartree: -407.1537

Each line ends with the natural charge from an NBO analysis.
Element x y z (Å)
H1 -2.7369 -1.7893 0.3326  0.187
O1 -1.1562 -0.7309 0.2613  -0.745
C1 2.5814 -0.4987 -0.0104  0.332
H2 -1.1812 2.2914 0.8891  0.183
O2 0.2839 1.0927 0.0926  -0.715
H3 -0.1823 2.9900 -0.4380  0.197
C2 -1.7606 -2.0323 0.1286  -0.214
O3 1.4723 -1.1610 0.1379  -0.698
B1 0.0628 -0.1831 0.2233  1.342
H4 -1.4092 -2.8147 0.7105  0.193
C3 3.4650 0.3074 -0.1451  -0.442
H5 4.2648 0.9845 -0.4189  0.237
H6 -1.6769 -2.1701 -0.9418  0.189
C4 -0.6283 2.1276 -0.0683  -0.226
H7 -1.3987 1.5864 -0.7533  0.180

Computed, not measured: the molecule C4H8O in a non-equilibrium geometry, with the ωB97M-V functional and the def2-TZVPD basis.

Summary:
E_HOMO in eV: -8.953
Maximum force in eV Å⁻¹: 4.29
ΔE to the lowest compared entry with this formula, charge and spin in kJ/mol: 149.2
Structure (SMILES): C/C=C/CO
Frontier orbital gap in Ha: 0.3643
Calculated total energy in hartree: -232.3888

Each line ends with the natural charge from an NBO analysis.
Element x y z (Å)
H1 2.0644 -1.2718 -0.7647  0.474
H2 -2.4533 -0.4003 1.0692  0.218
H3 -0.0039 1.6151 -0.0803  0.186
H4 -2.1885 0.8775 -0.2106  0.213
C1 -2.0670 -0.1710 0.0946  -0.641
C2 1.7074 0.4394 0.0875  -0.092
H5 -0.2690 -1.5561 -0.0038  0.213
H6 2.0557 1.0074 1.0001  0.182
C3 0.2682 0.5489 -0.1046  -0.227
H7 -2.7418 -0.8137 -0.5709  0.206
C4 -0.6194 -0.4756 -0.0121  -0.188
H8 2.2273 1.0622 -0.6476  0.161
O1 2.0199 -0.8623 0.1431  -0.706

Computed, not measured: a structure of composition C5H10O, with the ωB97M-V functional and the def2-TZVPD basis.

Summary:
E_HOMO in eV: -7.809
Maximum force in eV Å⁻¹: 0.44
ΔE to the lowest compared entry with this formula, charge and spin in kJ/mol: 593.3
Frontier orbital gap in Ha: 0.3306
Calculated total energy in hartree: -271.5267

Each line ends with the natural charge from an NBO analysis.
Element x y z (Å)
H1 -1.8986 0.4629 2.2047  0.175
C1 -1.0278 0.8716 0.1849  -0.211
C2 0.3623 -0.9566 -1.8084  -0.610
H2 1.1721 -0.5507 1.5415  0.180
H3 -0.0080 -1.9802 -1.6780  0.200
O1 -0.0024 1.0931 1.4680  -0.498
H4 -1.6741 2.2334 1.7994  0.198
H5 2.0162 -1.1893 -0.4436  0.212
C3 1.1624 -0.5098 -0.5922  -0.446
C4 0.4323 -0.4694 0.7352  -0.064
H6 -0.3381 -1.2268 0.8660  0.214
H7 1.6081 0.4793 -0.7583  0.218
H8 -0.4994 -0.3048 -1.9662  0.228
H9 -0.8779 1.7889 -0.4058  0.154
C5 -1.4182 1.2013 1.5580  -0.160
H10 0.9912 -0.9430 -2.7053  0.208

no.,molar mass (g/mol)
1,113.91
- - -

**Outcome**
3